Accredited EMCC Career Coach in Croydon - Ayesha Murray Coaching.

These data records were left in the article by mistake =
____________
Density functional theory data (PBE-GGA) for a relaxed LaTaMn2C crystal.

a = 4.247 Å, b = 4.247 Å, c = 4.456 Å
α = 90.00°, β = 90.00°, γ = 90.00°
Space group P4/mmm (No. 123)
Symmetry-distinct sites (fractional):
La: 0.000 0.000 0.000 x1
Ta: 0.500 0.500 0.000 x1
Mn: 0.000 0.500 0.500 x2
C: 0.500 0.500 0.500 x1

Calculated values
**Energy relative to the elements**: 30.57 kJ per mole of atoms

***

Density functional theory data (PBE-GGA) for a relaxed BaCa4Hg5 crystal.

a = 3.851 Å, b = 3.851 Å, c = 19.529 Å
α = 90.00°, β = 90.00°, γ = 90.00°
Space group P4/mmm (No. 123)
Symmetry-distinct sites (fractional):
Ba: 0.000 0.000 0.000 x1
Ca: 0.000 0.000 0.213 x2
Ca: 0.000 0.000 0.404 x2
Hg: 0.500 0.500 0.119 x2
Hg: 0.500 0.500 0.309 x2
Hg: 0.500 0.500 0.500 x1

Calculated values
**Energy relative to the elements**: -51.10 kJ per mole of atoms

***

Density functional theory data (PBE-GGA) for a relaxed TlReSe2 crystal.

a = 6.811 Å, b = 6.811 Å, c = 6.811 Å
α = 90.00°, β = 90.00°, γ = 90.00°
Space group F-43m (No. 216)
Symmetry-distinct sites (fractional):
Tl: 0.000 0.000 0.000 x4
Re: 0.250 0.250 0.750 x4
Se: 0.000 0.000 0.500 x4
Se: 0.250 0.250 0.250 x4

Calculated values
**Formation energy (no corrections)**: 1149 meV/atom
**Excess energy over the best structure of this formula in the dataset**: 1.1459 eV per atom

***

Density functional theory data (PBE-GGA) for a relaxed SmAl2CuAu5 crystal.

a = 4.857 Å, b = 4.857 Å, c = 7.697 Å
α = 90.00°, β = 90.00°, γ = 90.00°
Space group P4/mmm (No. 123)
Symmetry-distinct sites (fractional):
Sm: 0.000 0.000 0.000 x1
Al: 0.500 0.500 0.339 x2
Cu: 0.000 0.000 0.500 x1
Au: 0.000 0.500 0.253 x4
Au: 0.500 0.500 0.000 x1

Calculated values
**Energy relative to the elements**: -23.21 kJ per mole of atoms

***

Density functional theory data (PBE-GGA) for a relaxed K3Dy2NpS6 crystal.

a = 7.067 Å, b = 12.227 Å, c = 7.735 Å
____________
The article goes on =

Without a clear vision of how a career and family life can work together, both wind up suffering. I know. I’ve been there. For years I had a successful career working with some top companies, but I was torn by feelings of guilt that I wasn't paying enough attention to either home or work.

After experiencing a period of professional upheaval I discovered the value of professional coaching. My sessions changed my entire world view and inspired me to become an accredited EMCC Career Coach myself. Today, I share what was shared with me to try and help those who are on a similar path.

• What comes next are materials data, not part of the article:
********
No. 1
YTl3H: optimized geometry, PBE.

**Density of states at the Fermi level**: 2.947 states/eV/f.u.
**Symmetry**: Pm-3m
**DFT total energy**: -3.3239 eV/atom
**Magnetic moment**: 0.00 μB per atom

a = 4.8404 Å, b = 4.8404 Å, c = 4.8404 Å
α = 90.00°, β = 90.00°, γ = 90.00°
Last column: nearest neighbours and their distance in Å.
Fractional coordinates of all 5 atoms:
Tl1 0.0000 0.5000 0.0000  2 H 2.42
Tl2 0.5000 0.0000 0.0000  2 H 2.42
Tl3 0.0000 0.0000 0.5000  2 H 2.42
Y1 0.5000 0.5000 0.5000  12 Tl 3.42
H1 0.0000 0.0000 0.0000  6 Tl 2.42



No. 2
Y3TlH: optimized geometry, PBE.

**Density of states at the Fermi level**: 5.054 states/eV/f.u.
**Energy relative to the lowest polymorph listed for this composition**: 21 meV per atom
**Symmetry**: P2_1/m
**DFT total energy**: -5.3099 eV/atom
**Magnetic moment**: 0.00 μB per atom

a = 3.6103 Å, b = 6.6437 Å, c = 10.3294 Å
α = 99.23°, β = 90.00°, γ = 90.00°
Last column: nearest neighbours and their distance in Å.
Fractional coordinates of all 10 atoms:
Y1 0.2500 0.7728 0.0926  1 H 2.33
Y2 0.2500 0.4006 0.6344  2 H 2.45
Y3 0.7500 0.0825 0.3626  2 H 2.47
Y4 0.7500 0.2272 0.9074  1 H 2.33
Y5 0.2500 0.9175 0.6374  2 H 2.47
Y6 0.7500 0.5994 0.3656  2 H 2.45
H1 0.7500 0.1730 0.6791  5 Y 2.33-2.47
H2 0.2500 0.8270 0.3209  5 Y 2.33-2.47
Tl1 0.7500 0.7087 0.8388  8 Y 3.16-3.40
Tl2 0.2500 0.2913 0.1612  8 Y 3.16-3.40



No. 3
Y2TlH: optimized geometry, PBE.

**Density of states at the Fermi level**: 1.846 states/eV/f.u.
**Energy relative to the lowest polymorph listed for this composition**: 0 meV per atom
**Symmetry**: P4/nmm
**DFT total energy**: -5.1044 eV/atom
**Magnetic moment**: 0.00 μB per atom

a = 4.5530 Å, b = 4.5530 Å, c = 8.5088 Å
α = 90.01°, β = 90.01°, γ = 90.00°
Last column: nearest neighbours and their distance in Å.
Fractional coordinates of all 8 atoms:
Tl1 0.2502 0.2502 0.7805  1 H 3.09, 9 Y 3.15-3.30
Tl2 0.7498 0.7498 0.2195  1 H 3.09, 9 Y 3.15-3.30
H1 0.7501 0.7501 0.5821  5 Y 2.27-2.38
H2 0.2499 0.2499 0.4179  5 Y 2.27-2.38
Y1 0.7500 0.2500 0.5000  4 H 2.38
Y2 0.7502 0.7502 0.8494  1 H 2.27
Y3 0.2498 0.2498 0.1506  1 H 2.27
Y4 0.2500 0.7500 0.5000  4 H 2.38



No. 4
Y2TlH2: optimized geometry, PBE.

**Density of states at the Fermi level**: 2.636 states/eV/f.u.
**Energy relative to the lowest polymorph listed for this composition**: 97 meV per atom
**Symmetry**: C2/c
**DFT total energy**: -4.9229 eV/atom
**Magnetic moment**: 0.00 μB per atom

a = 5.8770 Å, b = 5.8770 Å, c = 6.4524 Å
α = 104.82°, β = 104.82°, γ = 116.12°
Last column: nearest neighbours and their distance in Å.
Fractional coordinates of all 10 atoms:
H1 0.5042 0.2548 0.0096  4 Y 2.25
H2 0.7452 0.4958 0.4904  4 Y 2.25
H3 0.2548 0.5042 0.5096  4 Y 2.25
H4 0.4958 0.7452 0.9904  4 Y 2.25
Y1 0.1953 0.8047 0.7500  4 H 2.25
Y2 0.8047 0.1953 0.2500  4 H 2.25
Y3 0.5554 0.4446 0.7500  4 H 2.25
Y4 0.4446 0.5554 0.2500  4 H 2.25
Tl1 0.8749 0.1251 0.7500  6 Y 3.19-3.30, 8 H 3.28-3.39
********
• Back to the article:

Finding Focus, Developing Belief
Attempting to balance work and home life in Croydon means we often wind up losing the one thing we cannot afford to lose: focus. Decisions are no longer made based on a well thought out set of priorities, but rather on spur of the moment considerations that inevitably undermine long term goals. As things get muddied and inertia sets in, our self-belief founders and confusion sets in.

As a certified Career Coach in Croydon, my mission is to help you break down the barriers to success you have subconsciously cultivated over the years, to expose and eliminate counterproductive habits and beliefs, and to help you develop goals that are aligned to your values and skillset. Over the course of your coaching sessions, you will rediscover your focus and passion and gain an unshakeable belief in your ability to succeed at whatever you turn your mind to.

(Next to the entry, the page also holds records of crystals)
-- begin --
Density functional theory data (PBE) for a geometry-optimized Eu2CuBi structure.

abc: 4.078 5.347 5.347
angles: 90.00 90.00 90.00
Site moments in Bohr magnetons follow the coordinates.
Fractional coordinates of all 4 atoms:
Eu1 0.000 0.000 0.500  6.84
Eu2 0.000 0.500 0.000  6.84
Bi1 0.500 0.500 0.500  -0.11
Cu1 0.500 0.000 0.000  -0.03

## Properties
energy of formation from the pure elements = -435 meV per atom
SG = P4/mmm, No. 123



Density functional theory data (PBE) for a geometry-optimized EuCuHgBi structure.

abc: 5.234 5.234 5.234
angles: 60.00 60.00 60.00
Site moments in Bohr magnetons follow the coordinates.
Fractional coordinates of all 4 atoms:
Eu1 0.500 0.500 0.500  -6.85
Bi1 0.000 0.000 0.000  0.02
Cu1 0.250 0.250 0.250  0.01
Hg1 0.750 0.750 0.750  -0.01

## Properties
energy of formation from the pure elements = -227 meV per atom
SG = F-43m, No. 216



Density functional theory data (PBE) for a geometry-optimized Sr2EuCu2Bi2O8 structure.

abc: 3.795 3.795 15.844
angles: 96.88 96.88 90.00
Site moments in Bohr magnetons follow the coordinates.
Fractional coordinates of all 15 atoms:
Sr1 0.887 0.887 0.774  0.00
Sr2 0.113 0.113 0.226  0.00
Eu1 0.000 0.000 0.000  6.44
Cu1 0.553 0.553 0.106  -0.11
Cu2 0.447 0.447 0.894  -0.11
Bi1 0.702 0.702 0.405  0.00
Bi2 0.298 0.298 0.595  0.00
O1 0.448 0.948 0.896  -0.06
O2 0.552 0.052 0.104  -0.06
O3 0.948 0.448 0.896  -0.06
O4 0.052 0.552 0.104  -0.06
O5 0.799 0.799 0.598  0.00
O6 0.201 0.201 0.402  0.00
O7 0.635 0.635 0.270  0.00
O8 0.365 0.365 0.730  0.00

## Properties
E_tot = -6.28 eV/atom
SG = I4/mmm, No. 139



Density functional theory data (PBE) for a geometry-optimized SrEuCuBiO6 structure.

abc: 5.769 5.769 5.769
angles: 60.00 60.00 60.00
Site moments in Bohr magnetons follow the coordinates.
Fractional coordinates of all 10 atoms:
Sr1 0.750 0.750 0.750  0.00
Eu1 0.250 0.250 0.250  6.59
Cu1 0.500 0.500 0.500  -0.17
Bi1 0.000 0.000 0.000  -0.01
O1 0.260 0.740 0.260  -0.04
O2 0.740 0.260 0.740  -0.04
O3 0.260 0.740 0.740  -0.04
O4 0.740 0.260 0.260  -0.04
O5 0.260 0.260 0.740  -0.04
O6 0.740 0.740 0.260  -0.04

## Properties
E_tot = -6.54 eV/atom
SG = F-43m, No. 216



V readings, ordered: 29.15, 25.34, 14.99, 13.58 Å³ per atom

* * * * *

<1>
Compound: In2TeAu2
Source: Alexandria
Functional: PBE-GGA
Structure: relaxed

Lattice parameters (Å, degrees): 8.7455 8.7455 3.1012 90.00 90.00 90.00
Last column: nearest neighbours and their distance in Å.
Space group P4/mbm (No. 127)
Asymmetric unit:
In  0.1897  0.3103  0.0000 x4  6 Au 2.90-3.13, 2 In 3.10, 2 Te 3.18
Te  0.0000  0.0000  0.0000 x2  2 Te 3.10, 4 In 3.18
Au  0.1118  0.6118  0.5000 x4  1 Au 2.77, 2 In 2.90

Values from the calculation:
The value obtained for the density of states at the Fermi level is 3.40 states/eV/cell.

---

<2>
Compound: In2TeAu2
Source: Alexandria
Functional: PBE-GGA
Structure: relaxed

Lattice parameters (Å, degrees): 4.4395 4.4395 12.5001 90.00 90.00 90.00
-- stop --

The Value of the Career Coach in Croydon
No athlete can realise their full potential without a gifted coach in their corner. The coach provides an objective point of view, makes constructive suggestions based on a thorough knowledge of the person and their sport, cultivates the athlete’s belief in themselves, and develops an action plan that puts them in the best position to succeed.

As a Career Coach in Croydon, I do exactly the same thing with working parents who have reached a crossroads in their personal/professional life and are unsure how to proceed. Often my clients are overwhelmed by conflicting responsibilities and have lost the ability to effectively prioritise. The result is either chaos or stagnation. It doesn't have to be that way. Working together we will put an end to uncertainty, cast off the artificial constraints that have been keeping your potential in check, and learn how to balance work and home effectively. Along the way, you will discover exactly who you are, what you want and how you are going to get it.

Stop Settling for Less
Once inertia takes hold it can be very difficult to regain momentum in your personal and professional lives. But it can be done. And Career Coaching is how you do it. If you're tired of settling for less simply because you’ve lost focus, get in touch with me, Ayesha Murray. Together we'll put you back in the picture and get you back on course towards true personal and professional fulfilment.

Get In Touch
Use the contact form on my website to sign up for Career Coaching in Croydon.
Or email me with any questions at
You can also call me on 07971 865 653 during normal business hours.